## Job
Now find "-0.360" and "-0.183" in the block further down, and echo these two lines and those between.
## Data
┌──
# 1
Entry from the OMol25 dataset: a structure of composition C3H5NO2 (wB97M-V/def2-TZVPD).

Each line ends with the Mulliken charge.
Element x y z (Å)
N  1.47531  -0.41247  0.30826  -0.652
C  0.23833  -0.12773  -0.37054  0.267
C  -1.08440  -0.69862  0.17958  -0.460
O  -1.64540  0.64450  0.25099  -0.331
C  -0.45724  1.21100  -0.09310  0.439
O  -0.15679  2.36638  -0.08080  -0.547
H  1.75275  0.35834  0.90634  0.252
H  2.22939  -0.57843  -0.34515  0.253
H  0.32619  -0.29909  -1.44858  0.274
H  -1.68184  -1.32810  -0.48342  0.232
H  -0.99629  -1.13578  1.17643  0.271

The energy above the lowest of the compared OMol25 structures with the same formula, charge and spin is 112.3 kJ/mol. The calculation puts the LUMO energy at 0.7756 eV. The value obtained for the largest force on an atom is 0.72 eV/A. For the HOMO-LUMO gap, the calculation gives 10.76 eV. The calculation puts the HOMO energy at -9.986 eV.

=====

# 2
Entry from the OMol25 dataset: a structure of composition C3H7N2O at a distorted geometry (wB97M-V/def2-TZVPD).

Each line ends with the Mulliken charge.
Element x y z (Å)
C  2.04398  0.13348  -0.08662  0.099
C  -1.32639  -0.29553  -0.63209  -0.404
C  -0.73126  0.35589  0.58018  0.227
N  1.11495  0.90381  0.28592  -0.270
N  -0.69281  -0.99082  0.45454  -0.476
O  1.91628  -1.07759  -0.42779  -0.360
H  3.10443  0.48231  -0.16865  0.366
H  -2.35548  -0.07226  -0.67642  0.319
H  -0.84763  -0.37261  -1.68872  0.209
H  -1.19950  0.96684  1.30828  0.428
H  1.19503  1.88869  0.53533  0.245
H  -1.13569  -1.51008  1.10585  0.207
H  1.02401  -1.21612  -0.48647  0.411

The energy above the lowest of the compared OMol25 structures with the same formula, charge and spin is 379.3 kJ/mol. The calculation puts the LUMO energy at -4.0416 eV. The value obtained for the largest force on an atom is 4.75 eV/A. For the HOMO-LUMO gap, the calculation gives 11.60 eV. The calculation puts the HOMO energy at -15.645 eV. As for the charge: +1.

=====

# 3
Entry from the OMol25 dataset: an isolated molecule of C17H20N2O4 at a distorted geometry (wB97M-V/def2-TZVPD).

Each line ends with the Mulliken charge.
Element x y z (Å)
C  -4.42994  -3.83386  -1.54405  -1.496
C  -3.68526  -3.08504  -0.60771  0.967
C  -4.05726  -2.21755  0.23890  0.760
C  -5.40301  -1.72731  0.70318  -2.062
H  -5.61843  -0.54801  0.59047  0.249
H  -5.46777  -1.84829  1.85746  0.315
H  -5.94942  -2.36541  0.31048  0.643
C  -2.89359  -1.37703  1.12466  -1.658
C  -1.81854  -0.78873  0.16785  -0.718
C  -0.71473  -0.25219  0.98384  -0.027
O  -0.27130  -0.42972  1.93488  -0.390
N  0.08577  0.76389  0.09463  -0.435
H  -0.24303  0.86894  -0.65378  0.242
N  1.18336  1.20730  0.63796  -0.062
C  1.96875  2.02491  -0.06921  0.054
O  1.97764  1.96888  -1.19914  -0.538
C  3.15181  2.45283  0.81921  1.005
C  3.84551  3.59949  0.17527  -1.038
C  4.77398  4.22926  0.58542  -0.183
C  5.47465  3.63187  1.87362  -0.508
C  4.78587  2.67483  2.44042  -0.430
C  3.91942  1.91553  1.78937  -0.180
H  3.36517  1.02836  2.16169  0.317
H  5.36765  2.04649  3.34265  0.176
H  6.12699  4.36830  2.17224  0.406
H  5.24881  5.08035  0.24501  0.498
H  3.32216  4.03327  -0.64167  0.318
H  1.23567  1.10220  1.54908  0.319
H  -2.18785  -0.17050  -0.33909  1.539
C  -1.25207  -2.05425  -0.70957  0.480
C  -1.14400  -1.38178  -2.27169  0.388
O  -1.17405  -0.11343  -2.39961  -0.607
O  -0.99554  -2.37868  -3.13845  -0.344
H  -0.90414  -1.88949  -3.84147  0.345
C  -2.07288  -3.25850  -0.63088  -2.165
H  -1.72277  -3.90304  -0.02063  0.828
H  -1.98553  -3.75450  -1.62490  0.609
H  -0.07028  -2.44496  -0.43896  0.359
H  -3.21107  -0.69752  1.75497  0.838
H  -2.17003  -2.22013  1.72900  0.207
H  -4.29610  -4.98511  -1.33972  0.223
H  -3.89554  -3.59461  -2.57472  0.282
H  -5.40533  -3.46628  -1.34770  0.474
└──
## Completed
O  1.91628  -1.07759  -0.42779  -0.360
H  3.10443  0.48231  -0.16865  0.366
H  -2.35548  -0.07226  -0.67642  0.319
H  -0.84763  -0.37261  -1.68872  0.209
H  -1.19950  0.96684  1.30828  0.428
H  1.19503  1.88869  0.53533  0.245
H  -1.13569  -1.51008  1.10585  0.207
H  1.02401  -1.21612  -0.48647  0.411

The energy above the lowest of the compared OMol25 structures with the same formula, charge and spin is 379.3 kJ/mol. The calculation puts the LUMO energy at -4.0416 eV. The value obtained for the largest force on an atom is 4.75 eV/A. For the HOMO-LUMO gap, the calculation gives 11.60 eV. The calculation puts the HOMO energy at -15.645 eV. As for the charge: +1.

=====

# 3
Entry from the OMol25 dataset: an isolated molecule of C17H20N2O4 at a distorted geometry (wB97M-V/def2-TZVPD).

Each line ends with the Mulliken charge.
Element x y z (Å)
C  -4.42994  -3.83386  -1.54405  -1.496
C  -3.68526  -3.08504  -0.60771  0.967
C  -4.05726  -2.21755  0.23890  0.760
C  -5.40301  -1.72731  0.70318  -2.062
H  -5.61843  -0.54801  0.59047  0.249
H  -5.46777  -1.84829  1.85746  0.315
H  -5.94942  -2.36541  0.31048  0.643
C  -2.89359  -1.37703  1.12466  -1.658
C  -1.81854  -0.78873  0.16785  -0.718
C  -0.71473  -0.25219  0.98384  -0.027
O  -0.27130  -0.42972  1.93488  -0.390
N  0.08577  0.76389  0.09463  -0.435
H  -0.24303  0.86894  -0.65378  0.242
N  1.18336  1.20730  0.63796  -0.062
C  1.96875  2.02491  -0.06921  0.054
O  1.97764  1.96888  -1.19914  -0.538
C  3.15181  2.45283  0.81921  1.005
C  3.84551  3.59949  0.17527  -1.038
C  4.77398  4.22926  0.58542  -0.183